Job:
Please filter the lines underneath: keep the lines with the word "with".

Source:
********
# Ce2PmSnN2
Theoretical XRD peak list, λ = 1.5418 Å (Cu Kα). Input: a cell relaxed with PBE.
No peak broadening, texture or thermal motion is included.

Structure:
```
data_Ce2PmSnN2
_cell_length_a 4.5384
_cell_length_b 4.5384
_cell_length_c 6.6943
_cell_angle_alpha 90.00
_cell_angle_beta 90.00
_cell_angle_gamma 90.00
_space_group_name_H-M_alt 'P 1'
_space_group_IT_number 1
loop_
_space_group_symop_operation_xyz
'x,y,z'
loop_
_atom_site_label
_atom_site_type_symbol
_atom_site_fract_x
_atom_site_fract_y
_atom_site_fract_z
Ce1 Ce 0.0000 0.0000 0.2255
Ce2 Ce 0.0000 0.0000 0.7745
Pm1 Pm 0.5000 0.5000 0.0000
Sn1 Sn 0.5000 0.5000 0.5000
N1 N 0.0000 0.5000 0.0000
N2 N 0.5000 0.0000 0.0000
```

Principal peaks in the range 2θ from 5° to 70°, sorted by position:
| Position (°2θ) | d/Å | Rel. int. |
| --- | --- | --- |
| 27.80 | 3.209 | 75 |
| 33.26 | 2.694 | 100 |
| 39.72 | 2.269 | 35 |
| 52.75 | 1.735 | 54 |
| 57.43 | 1.605 | 12 |
| 62.60 | 1.484 | 13 |
| 64.98 | 1.435 | 14 |
| 68.00 | 1.379 | 13 |

---

# CePmTeN2
Theoretical XRD peak list, λ = 1.5418 Å (Cu Kα). Input: a cell relaxed with PBE.
No peak broadening, texture or thermal motion is included.

Structure:
```
data_CePmTeN2
_cell_length_a 7.3502
_cell_length_b 7.3502
_cell_length_c 7.3502
_cell_angle_alpha 148.28
_cell_angle_beta 148.28
_cell_angle_gamma 45.47
_space_group_name_H-M_alt 'P 1'
_space_group_IT_number 1
loop_
_space_group_symop_operation_xyz
'x,y,z'
loop_
_atom_site_label
_atom_site_type_symbol
_atom_site_fract_x
_atom_site_fract_y
_atom_site_fract_z
Ce1 Ce 0.0000 0.0000 0.0000
Pm1 Pm 0.6646 0.6646 0.0000
Te1 Te 0.3318 0.3318 0.0000
N1 N 0.0746 0.5746 0.5000
N2 N 0.5746 0.0746 0.5000
```

Principal peaks in the range 2θ from 5° to 70°, sorted by position:
| Position (°2θ) | d/Å | Rel. int. |
| --- | --- | --- |
| 29.76 | 3.002 | 100 |
| 31.50 | 2.840 | 37 |
| 39.89 | 2.260 | 10 |
| 45.14 | 2.008 | 18 |
| 51.69 | 1.768 | 24 |
| 55.01 | 1.669 | 35 |
| 61.80 | 1.501 | 11 |
| 66.26 | 1.411 | 10 |

* * * * *

Entry 1:
AlH3O3: computed powder XRD pattern (Cu Kα (weighted mean of Kα1 and Kα2)), based on the PBE geometry in the Materials Project.

Cell and atoms:
Unit cell a=5.1817 b=8.5971 c=9.4989 alpha=89.04 beta=89.92 gamma=89.89
Fractional positions:
Al: 0.0000 0.0000 0.0000
Al: 0.0013 0.3484 0.4918
Al: 0.4670 0.5058 0.9800
Al: 0.4780 0.5209 0.4906
Al: 0.4867 0.8673 0.4686
Al: 0.4907 0.8662 0.9915
Al: 0.9763 0.3441 0.9861
Al: 0.9844 0.0163 0.4717
H: 0.0026 0.7873 0.5979
H: 0.1052 0.1949 0.2728
H: 0.1302 0.6273 0.3687
H: 0.1672 0.4951 0.1910
H: 0.1706 0.7015 0.8904
H: 0.1878 0.8685 0.2555
H: 0.2941 0.3757 0.6978
H: 0.3061 0.1644 0.1068
H: 0.3152 0.0065 0.7741
H: 0.3385 0.2458 0.8682
H: 0.3857 0.6973 0.6910
H: 0.4109 0.1066 0.5819
H: 0.5909 0.2377 0.3871
H: 0.6171 0.6690 0.2118
H: 0.6336 0.2294 0.1059
H: 0.6607 0.3604 0.2632
H: 0.6739 0.1482 0.8739
H: 0.6844 0.9980 0.2148
H: 0.7750 0.4834 0.7804
H: 0.8086 0.7068 0.3715
H: 0.8128 0.8634 0.7855
H: 0.8356 0.6575 0.0863
H: 0.8729 0.6002 0.6001
H: 0.8795 0.1749 0.6943
O: 0.1200 0.1808 0.0992
O: 0.1227 0.1955 0.3769
O: 0.1599 0.4982 0.0863
O: 0.1739 0.5148 0.3740
O: 0.1754 0.8596 0.3668
O: 0.2008 0.8648 0.0973
O: 0.2842 0.3565 0.8726
O: 0.3035 0.3713 0.5931
O: 0.3206 0.0068 0.5888
O: 0.3288 0.0238 0.8779
O: 0.3579 0.6865 0.8790
O: 0.3643 0.6953 0.5868
O: 0.6257 0.6787 0.3640
O: 0.6456 0.6624 0.1014
O: 0.6496 0.3491 0.3733
O: 0.6648 0.3442 0.1045
O: 0.6817 0.0064 0.3734
O: 0.6842 0.0041 0.1037
O: 0.7789 0.4896 0.8838
O: 0.7954 0.4977 0.5886
O: 0.8110 0.8579 0.8904
O: 0.8488 0.8551 0.5946
O: 0.8582 0.1722 0.8807
O: 0.8626 0.1823 0.5908

Principal peaks in the range 2θ from 15° to 90°, by intensity:
********

Solution:
Theoretical XRD peak list, λ = 1.5418 Å (Cu Kα). Input: a cell relaxed with PBE.
Theoretical XRD peak list, λ = 1.5418 Å (Cu Kα). Input: a cell relaxed with PBE.